‘A Christmas Carol’ by Charles Dickens

(Narrated by Jacob Marley)

........
1.
{"formula": "KLuMo2O8", "functional": "GGA+U", "state": "optimized geometry", "lattice": [[5.997, 0.000, 0.000], [-2.998, 5.193, 0.000], [0.000, 0.000, 7.917]], "species": ["K", "Lu", "Mo", "Mo", "O", "O", "O", "O", "O", "O", "O", "O"], "frac_coords": [[0.000, 0.000, 0.000], [0.000, 0.000, 0.500], [0.333, 0.667, 0.261], [0.667, 0.333, 0.739], [0.168, 0.336, 0.334], [0.168, 0.832, 0.334], [0.333, 0.667, 0.040], [0.336, 0.168, 0.666], [0.664, 0.832, 0.334], [0.667, 0.333, 0.960], [0.832, 0.168, 0.666], [0.832, 0.664, 0.666]], "formation_enthalpy_0k_ev_per_fu": -30.81, "magmom_total_mub_per_fu": 0.005, "e_tot_ev_per_cell": -85.82, "sg": "P-3m1"}



2.
{"formula": "Li2Mn2P4H3O16", "functional": "GGA+U", "state": "optimized geometry", "lattice": [[4.864, 0.000, 0.000], [-1.844, 7.158, 0.000], [-0.024, -0.320, 8.212]], "species": ["Li", "Li", "Mn", "Mn", "P", "P", "P", "P", "H", "H", "H", "O", "O", "O", "O", "O", "O", "O", "O", "O", "O", "O", "O", "O", "O", "O", "O"], "frac_coords": [[0.000, 0.000, 0.000], [0.195, 0.294, 0.727], [0.107, 0.152, 0.363], [0.602, 0.649, 0.859], [0.229, 0.903, 0.712], [0.483, 0.889, 0.205], [0.723, 0.417, 0.519], [0.983, 0.401, 0.011], [0.038, 0.654, 0.405], [0.284, 0.576, 0.239], [0.566, 0.133, 0.861], [0.098, 0.384, 0.182], [0.154, 0.962, 0.548], [0.230, 0.494, 0.894], [0.259, 0.006, 0.188], [0.344, 0.707, 0.298], [0.355, 0.091, 0.820], [0.444, 0.781, 0.698], [0.475, 0.308, 0.413], [0.580, 0.839, 0.033], [0.614, 0.452, 0.693], [0.737, 0.004, 0.303], [0.768, 0.525, 0.022], [0.839, 0.611, 0.444], [0.856, 0.208, 0.926], [0.954, 0.306, 0.534], [0.973, 0.810, 0.820]], "formation_enthalpy_0k_ev_per_fu": -61.60, "magmom_total_mub_per_fu": 7.001, "polymorph_energy_ev_per_atom": 0.000, "e_tot_ev_per_cell": -180.41, "sg": "P1"}



3.
........
# Here the text continues

Once upon a Christmas Eve

When all other workers had taken leave

My one time business partner broods,

The miserly, hateful Ebenezer Scrooge

No thought of charity, love nor cheer

Money is all that Scrooge holds dear.

Chasing carol singers from the door

Mocking the well wishers, cursing the poor

His nephew, Fred, with invitation

Pleads Scrooge to join him on this festive occasion

Refusing the kindness with a shrug,

And turning homeward, like a slug

Locks his door from every mug

“Bah!” said Scrooge. “Humbug!”

Now seven years my ghost has cried

And dragged the chains of both our pride

And as the hourly clock did chime

I appeared to Scrooge, my partner in crime

“Make amends for a misused life,

Or follow me to eternal strife

Three ghosts to you will appear this night

Three ghosts to show your heart of spite”

Scrooge wondered whether he’d been dreaming

When on his neck came a tingling feeling

The spectre’s sight then sent him reeling

The Ghost of Christmas Past

Scrooge was shown his childhood ways

His lonely self as others played

And as the journey took its course

His heart began to feel remorse

Scrooge closed his eyes and prayed until

The second ghoul his room did fill

“Spirit, conduct me where you will”

The Ghost of Christmas Present

The Ghost showed Scrooge the weak and poor

And cries behind the Workhouse door

Those labouring for a tiny fee

Whose only hope was charity

Bob Cratchit, the Clerk, in his house so dim

Made merry with his child, poor Tiny Tim

For while other’s cursed the wretched beast

Bob raised a toast; “Mr Scrooge, the founder of the feast”

“Oh what a fool I’ve been! For all my greed

I cannot speak of one good deed”

Scrooge bowed his head in shame to weep

Then shrieked at how the darkness now did creep

The final spirit there appeared

The ghost that Scrooge had always feared

The silent reaper, in shadows leered

The Ghost of Christmas Future

The Spirit showed Scrooge how things would be

If he continued his life so uncharitably

The fate of the sick, the curse of the poor

And Tiny Tim…would be no more

And last they came to an un-kept grave

That bore his name and his soul enslaved

“I will honour Christmas!” Scrooge pleaded in fear

“And I promise to keep it all the year”

With that, Scrooge awoke, it was Christmas Day

“I’ve not a moment to lose, I must change my way!”

He gave his wealth to the poor, and last, but not least

The Cratchits got their Christmas feast

And Scrooge was better than his word

A kinder man you would not have heard

And so, as Tiny Tim observed,

“God Bless us, Every One!”